_To do_
Could you retype everything below unchanged?

_Material_
=====
# 1
Compound: MnCu2P
Source: the Alexandria database
Functional: PBE
Structure: optimized geometry

Properties
The value obtained for the total energy is -5.6139 eV per atom. For the formation enthalpy at 0 K, the calculation gives 0.079 eV/atom. As for the space group: F-43m.

```
4
Lattice="4.1227 0.0000 0.0000 2.0613 3.5703 0.0000 2.0613 1.1901 3.3661" Properties=species:S:1:pos:R:3 pbc="T T T"
Cu 0.0000 0.0000 0.0000
Cu 2.0613 1.1901 0.8415
Mn 4.1227 2.3802 1.6831
P 6.1840 3.5703 2.5246
```

# 2
Compound: Ca2HfBeGe
Source: the Alexandria database
Functional: PBE
Structure: optimized geometry

Properties
The value obtained for the total energy is -3.2406 eV per atom. For the formation enthalpy at 0 K, the calculation gives 1.219 eV/atom. As for the space group: P4/mmm.

```
5
Lattice="-3.3166 2.8031 3.8447 -3.3462 -3.0887 -0.6347 2.1959 -3.2559 4.2681" Properties=species:S:1:pos:R:3 pbc="T T T"
Ca -1.6583 1.4015 1.9224
Ca 1.0979 -1.6280 2.1340
Ge -2.2335 -1.7708 3.7391
Be -1.6731 -1.5443 -0.3173
Hf 0.0000 0.0000 0.0000
```

# 3
Compound: Pm2HgF8
Source: the Alexandria database
Functional: PBE
Structure: optimized geometry

Properties
As for the energy relative to the lowest polymorph listed for this composition: 2.7 kJ/mol of atoms. The value obtained for the total energy is -5.5892 eV per atom. The uncorrected formation energy is -3.34 eV/atom. As for the space group: C2/m.

```
11
Lattice="-0.9572 -2.1436 -3.5103 6.5021 1.3191 -0.4482 3.5754 -4.1965 3.7181" Properties=species:S:1:pos:R:3 pbc="T T T"
F 1.1341 -2.7096 -2.7905
F 7.9862 -2.3115 2.5500
F 4.0378 -0.6556 -2.1350
F 4.8778 -3.3403 -0.9955
Pm 2.7103 -2.2118 -1.0242
F 4.2424 -1.6808 0.7551
F 6.8586 -1.0183 -0.6338
F 5.0824 -4.3655 1.8946
Hg 0.0000 0.0000 0.0000
Pm 6.4099 -2.8093 0.7837
F 2.2617 -4.0028 0.3933
```


Density functional theory data (PBE) for an optimized crystal structure of Li7SiPd4.

- symmetry = C2/m (12)
- formation energy (no corrections) (kJ/mol of atoms) = -25

a = 4.645 Å, b = 8.610 Å, c = 5.787 Å
α = 107.49°, β = 66.34°, γ = 74.35°
Fractional positions:
1 Pd 0.337 0.752 0.573
2 Pd 0.387 0.272 0.954
3 Pd 0.613 0.728 0.046
4 Pd 0.663 0.248 0.427
5 Li 0.500 0.000 0.000
6 Li 0.996 0.606 0.403
7 Li 0.734 0.415 0.118
8 Li 0.004 0.394 0.597
9 Li 0.266 0.585 0.882
10 Li 0.174 0.083 0.570
11 Li 0.826 0.917 0.430
12 Si 0.000 0.000 0.000

=====

Density functional theory data (PBE) for an optimized crystal structure of Pm6Dy2YTm.

- symmetry = C2/c (15)
- ΔH_f (0 K) (meV per atom) = 114.3

a = 9.607 Å, b = 8.937 Å, c = 8.937 Å
α = 118.10°, β = 93.68°, γ = 93.68°
Fractional positions:
1 Pm 0.312 0.988 0.434
2 Pm 0.554 0.761 0.122
3 Pm 0.688 0.012 0.566
4 Pm 0.882 0.290 0.506
5 Pm 0.446 0.239 0.878
6 Pm 0.382 0.506 0.290
7 Pm 0.188 0.566 0.012
8 Pm 0.946 0.878 0.239
9 Pm 0.812 0.434 0.988
10 Pm 0.118 0.710 0.494
11 Pm 0.618 0.494 0.710
12 Pm 0.054 0.122 0.761
13 Dy 0.045 0.304 0.201
14 Dy 0.545 0.201 0.304
15 Dy 0.955 0.696 0.799
16 Dy 0.455 0.799 0.696
17 Y 0.750 0.026 0.974
18 Y 0.250 0.974 0.026
19 Tm 0.250 0.412 0.588
20 Tm 0.750 0.588 0.412

=====

Density functional theory data (PBE) for an optimized crystal structure of Tb14NdPu.

- symmetry = P4/mmm (123)
- ΔH_f (0 K) (meV per atom) = 38.4

a = 7.128 Å, b = 7.128 Å, c = 10.025 Å
α = 90.00°, β = 90.00°, γ = 90.00°
Fractional positions:
1 Tb 0.123 0.877 0.751
2 Tb 0.875 0.625 0.500
3 Tb 0.123 0.373 0.249
4 Tb 0.375 0.125 0.500
5 Tb 0.375 0.125 0.000
6 Tb 0.627 0.877 0.751
7 Tb 0.123 0.373 0.751
8 Tb 0.123 0.877 0.249
9 Tb 0.627 0.373 0.751
10 Tb 0.875 0.625 0.000
11 Tb 0.627 0.373 0.249
12 Tb 0.375 0.625 0.500
13 Tb 0.627 0.877 0.249
14 Tb 0.875 0.125 0.500
15 Pu 0.875 0.125 0.000
16 Nd 0.375 0.625 0.000

=====

Density functional theory data (PBE) for an optimized crystal structure of Li4Ho3Sn4.

- symmetry = Immm (71)
- ΔH_f (0 K) (meV per atom) = -596.9

a = 4.574 Å, b = 7.093 Å, c = 8.602 Å
α = 114.35°, β = 105.42°, γ = 90.00°
Fractional positions:
1 Ho 0.000 0.500 0.000
2 Ho 0.127 0.127 0.254
=====

_Solution_
# 1
Compound: MnCu2P
Source: the Alexandria database
Functional: PBE
Structure: optimized geometry

Properties
The value obtained for the total energy is -5.6139 eV per atom. For the formation enthalpy at 0 K, the calculation gives 0.079 eV/atom. As for the space group: F-43m.

```
4
Lattice="4.1227 0.0000 0.0000 2.0613 3.5703 0.0000 2.0613 1.1901 3.3661" Properties=species:S:1:pos:R:3 pbc="T T T"
Cu 0.0000 0.0000 0.0000
Cu 2.0613 1.1901 0.8415
Mn 4.1227 2.3802 1.6831
P 6.1840 3.5703 2.5246
```

# 2
Compound: Ca2HfBeGe
Source: the Alexandria database
Functional: PBE
Structure: optimized geometry

Properties
The value obtained for the total energy is -3.2406 eV per atom. For the formation enthalpy at 0 K, the calculation gives 1.219 eV/atom. As for the space group: P4/mmm.

```
5
Lattice="-3.3166 2.8031 3.8447 -3.3462 -3.0887 -0.6347 2.1959 -3.2559 4.2681" Properties=species:S:1:pos:R:3 pbc="T T T"
Ca -1.6583 1.4015 1.9224
Ca 1.0979 -1.6280 2.1340
Ge -2.2335 -1.7708 3.7391
Be -1.6731 -1.5443 -0.3173
Hf 0.0000 0.0000 0.0000
```

# 3
Compound: Pm2HgF8
Source: the Alexandria database
Functional: PBE
Structure: optimized geometry

Properties
As for the energy relative to the lowest polymorph listed for this composition: 2.7 kJ/mol of atoms. The value obtained for the total energy is -5.5892 eV per atom. The uncorrected formation energy is -3.34 eV/atom. As for the space group: C2/m.

```
11
Lattice="-0.9572 -2.1436 -3.5103 6.5021 1.3191 -0.4482 3.5754 -4.1965 3.7181" Properties=species:S:1:pos:R:3 pbc="T T T"
F 1.1341 -2.7096 -2.7905
F 7.9862 -2.3115 2.5500
F 4.0378 -0.6556 -2.1350
F 4.8778 -3.3403 -0.9955
Pm 2.7103 -2.2118 -1.0242
F 4.2424 -1.6808 0.7551
F 6.8586 -1.0183 -0.6338
F 5.0824 -4.3655 1.8946
Hg 0.0000 0.0000 0.0000
Pm 6.4099 -2.8093 0.7837
F 2.2617 -4.0028 0.3933
```


Density functional theory data (PBE) for an optimized crystal structure of Li7SiPd4.

- symmetry = C2/m (12)
- formation energy (no corrections) (kJ/mol of atoms) = -25

a = 4.645 Å, b = 8.610 Å, c = 5.787 Å
α = 107.49°, β = 66.34°, γ = 74.35°
Fractional positions:
1 Pd 0.337 0.752 0.573
2 Pd 0.387 0.272 0.954
3 Pd 0.613 0.728 0.046
4 Pd 0.663 0.248 0.427
5 Li 0.500 0.000 0.000
6 Li 0.996 0.606 0.403
7 Li 0.734 0.415 0.118
8 Li 0.004 0.394 0.597
9 Li 0.266 0.585 0.882
10 Li 0.174 0.083 0.570
11 Li 0.826 0.917 0.430
12 Si 0.000 0.000 0.000

=====

Density functional theory data (PBE) for an optimized crystal structure of Pm6Dy2YTm.

- symmetry = C2/c (15)
- ΔH_f (0 K) (meV per atom) = 114.3

a = 9.607 Å, b = 8.937 Å, c = 8.937 Å
α = 118.10°, β = 93.68°, γ = 93.68°
Fractional positions:
1 Pm 0.312 0.988 0.434
2 Pm 0.554 0.761 0.122
3 Pm 0.688 0.012 0.566
4 Pm 0.882 0.290 0.506
5 Pm 0.446 0.239 0.878
6 Pm 0.382 0.506 0.290
7 Pm 0.188 0.566 0.012
8 Pm 0.946 0.878 0.239
9 Pm 0.812 0.434 0.988
10 Pm 0.118 0.710 0.494
11 Pm 0.618 0.494 0.710
12 Pm 0.054 0.122 0.761
13 Dy 0.045 0.304 0.201
14 Dy 0.545 0.201 0.304
15 Dy 0.955 0.696 0.799
16 Dy 0.455 0.799 0.696
17 Y 0.750 0.026 0.974
18 Y 0.250 0.974 0.026
19 Tm 0.250 0.412 0.588
20 Tm 0.750 0.588 0.412

=====

Density functional theory data (PBE) for an optimized crystal structure of Tb14NdPu.

- symmetry = P4/mmm (123)
- ΔH_f (0 K) (meV per atom) = 38.4

a = 7.128 Å, b = 7.128 Å, c = 10.025 Å
α = 90.00°, β = 90.00°, γ = 90.00°
Fractional positions:
1 Tb 0.123 0.877 0.751
2 Tb 0.875 0.625 0.500
3 Tb 0.123 0.373 0.249
4 Tb 0.375 0.125 0.500
5 Tb 0.375 0.125 0.000
6 Tb 0.627 0.877 0.751
7 Tb 0.123 0.373 0.751
8 Tb 0.123 0.877 0.249
9 Tb 0.627 0.373 0.751
10 Tb 0.875 0.625 0.000
11 Tb 0.627 0.373 0.249
12 Tb 0.375 0.625 0.500
13 Tb 0.627 0.877 0.249
14 Tb 0.875 0.125 0.500
15 Pu 0.875 0.125 0.000
16 Nd 0.375 0.625 0.000

=====

Density functional theory data (PBE) for an optimized crystal structure of Li4Ho3Sn4.

- symmetry = Immm (71)
- ΔH_f (0 K) (meV per atom) = -596.9

a = 4.574 Å, b = 7.093 Å, c = 8.602 Å
α = 114.35°, β = 105.42°, γ = 90.00°
Fractional positions:
1 Ho 0.000 0.500 0.000
2 Ho 0.127 0.127 0.254